Input:
Entry 1:
A structure of composition C3H11N3O at a distorted geometry, computed with wB97M-V/def2-TZVPD.

Values from the calculation:
Energy above the lowest of the compared OMol25 structures with the same formula, charge and spin: 549.00 kJ/mol
Kohn-Sham gap: 0.301 Eh
HOMO: -7.45 eV

Cartesian coordinates (Å):
C -0.354 -0.907 0.200
C 0.419 -0.131 -0.717
C 1.132 1.134 -0.326
N -1.593 0.537 -0.431
N -2.319 1.017 0.672
N 1.646 -1.516 -0.420
O -0.274 -0.813 1.538
H 0.288 -0.068 1.788
H -2.217 -0.058 -0.971
H -0.863 -1.807 -0.121
H 0.205 -0.281 -1.768
H -1.846 1.828 1.054
H -2.416 0.325 1.419
H 1.623 -2.278 -1.090
H 2.604 -1.336 -0.136
H 1.969 1.297 -1.001
H 0.447 1.980 -0.371
H 1.546 1.078 0.683

Results of the natural (NBO) charge analysis, in e, for atoms 1 through 8:
1 C 0.30
2 C 0.01
3 C -0.65
4 N -0.59
5 N -0.67
6 N -1.04
7 O -0.66
8 H 0.48



Entry 2:
A cluster of 2 separate species, C3H11N3O in total at a distorted geometry, computed with wB97M-V/def2-TZVPD.

Values from the calculation:
Energy above the lowest of the compared OMol25 structures with the same formula, charge and spin: 325.86 kJ/mol
Kohn-Sham gap: 0.382 Eh
SMILES string: CC(C)=N.NNO
HOMO: -9.52 eV

Cartesian coordinates (Å):
C -0.445 1.438 1.177
C -1.094 0.097 0.970
C -2.117 0.018 -0.201
N -0.885 -0.950 1.640
H 0.261 1.421 2.010
H 0.082 1.722 0.263
H -1.210 2.194 1.374
H -1.682 0.146 -1.197
H -2.650 -0.926 -0.113
H -2.804 0.853 -0.096
H -0.198 -0.859 2.386
N 2.794 -0.354 -0.990
N 1.917 -1.262 -1.545
O 0.484 -0.923 -1.263
H 2.597 0.627 -1.235
H 2.793 -0.461 0.033
H 1.972 -1.168 -2.556
H 0.185 -1.614 -0.657

Results of the natural (NBO) charge analysis, in e, for atoms 1 through 8:
1 C -0.69
2 C 0.35
3 C -0.68
4 N -0.67
5 H 0.21
6 H 0.23
7 H 0.23
8 H 0.24



Entry 3:
A cluster of 3 separate species, C3H11N3O in total at a distorted geometry, computed with wB97M-V/def2-TZVPD.

Values from the calculation:
Energy above the lowest of the compared OMol25 structures with the same formula, charge and spin: 210.86 kJ/mol
Kohn-Sham gap: 0.324 Eh
SMILES string: [H]/N=C(/N)O.C=N.C
HOMO: -8.45 eV

Cartesian coordinates (Å):
H -1.527 0.787 0.665
N -1.334 -0.206 0.761
C -0.466 -0.421 1.706
N -0.108 -1.726 1.957
O 0.314 0.482 2.255
H -0.813 -2.415 1.758
H 0.435 -1.867 2.793
H 0.646 1.230 1.363
C 1.426 0.885 -0.711
N 1.013 1.757 0.126
H 1.681 1.113 -1.741
H 1.666 -0.090 -0.310
H 0.754 2.666 -0.241
C -0.678 -0.415 -2.083
H 0.205 -0.921 -2.462
H -0.798 0.549 -2.568
H -1.538 -1.018 -2.369
H -0.877 -0.387 -0.900

Results of the natural (NBO) charge analysis, in e, for atoms 1 through 8:
1 H 0.34
2 N -0.86
3 C 0.71
4 N -0.84
5 O -0.77
6 H 0.39
7 H 0.39
8 H 0.48



Entry 4:
A cluster of 3 separate species, C3H11N3O in total at a distorted geometry, computed with wB97M-V/def2-TZVPD.

Values from the calculation:
Energy above the lowest of the compared OMol25 structures with the same formula, charge and spin: 487.71 kJ/mol
Kohn-Sham gap (spin up / spin down): 0.264 / 0.264 Eh
HOMO (spin up / spin down): -6.71 / -6.71 eV

Cartesian coordinates (Å):
C -0.440 -0.055 -0.625
C 0.136 -0.336 0.637
C -1.083 1.466 0.846
N 0.314 0.489 -1.606
N 1.376 0.303 0.947
N 1.024 -2.084 0.052
O -1.599 -0.646 -0.953
H -1.619 -0.849 -1.896
H -0.464 -0.873 1.356
H 1.160 0.924 -1.251
H -0.153 0.970 -2.360
H 1.338 0.768 1.846
H 2.080 -0.431 0.959
H 0.295 -2.798 0.037
H 1.363 -2.038 -0.911
H -2.139 1.319 0.635
H -0.922 1.526 1.921
H -0.667 2.348 0.364

Results of the natural (NBO) charge analysis, in e, for atoms 1 through 8:
1 C 0.62
2 C 0.12
3 C -0.77
4 N -0.82
5 N -0.89
6 N -1.15
7 O -0.67
8 H 0.49



Entry 5:
A structure of composition C3H11N3O2 at a distorted geometry, computed with wB97M-V/def2-TZVPD.

Values from the calculation:
Energy above the lowest of the compared OMol25 structures with the same formula, charge and spin: 51.18 kJ/mol
Kohn-Sham gap: 0.368 Eh
HOMO: -9.31 eV

Cartesian coordinates (Å):
N 1.035 -1.601 -0.281
C -0.426 -1.652 -0.010
C -0.867 -0.720 1.112
N -2.279 -0.315 0.867

Exercise:
Return every line above that contains the word "coordinates".

Here it is:
Cartesian coordinates (Å):
Cartesian coordinates (Å):
Cartesian coordinates (Å):
Cartesian coordinates (Å):
Cartesian coordinates (Å):